
Little issue I'm having that I'm hoping someone can help me with please?

So I have 3 columns in Excel. Each Column (A/B/C) contains either "high" / "Medium" / "Low" scored issues. However, if you have 3 Low issues, this is grouped together, and this becomes 1 Medium Issue for example.

The difficulty I'm having is writing a formula that will do this for me. Obviously I could just divide the number of Low issues I have by 3, but in the case where I have 7 Low issues, It should result with 2 Mediums and 1 remaining Low. I've tried using the "Mod" function, but that only returns the remainder.

What I need is a formula that will say "If you have 7 Low Issues, (3 low = 1 medium), therefore you have 2 medium and 1 Low). The medium issues would then be added to the Medium Column (Col B), and the remaining low issue is counted in the Low issue column (Col C).

I hope this explanation makes sense, fingers crossed one of you might be able to help me! Thank you in advance

As requested, a screenshot!

what im hoping for!

This is very hard to follow without seeing the data and expected resultsSierraOscar
The data is very simple, its just 3 Columns A/B/C, with a number of "high" in col A, "Medium" in Col B, ""Low" in Col C. I can count the numbers of Highs / meds/lows easily enough, but I then need to perform this action where 3 Lows = Med, 3 Med = 1 High. What I just can't work out is how to divide the number of lows I have in column c, and where there is a remainder keep the count in column c while 'moving' the groups of 3 into column B.JavaStarta
The Mod() function will return the remainder, if you do a conditional sum on the severity and they get you could apply the mod function. But as Macro Man said it is hard to offer too much more with a little more insight.Captain Grumpy
From you adding info, if you are talking about moving the data between columns as grouped data you will need to get your coding fingers warmed up (although there might be some built in functionality I haven't used there)Captain Grumpy
The mantra "A picture is worth a thousand words" comes to mind here... You can edit your question and add a screenshot.Wolfie

3 Answers


If I understand you correctly, I think you should be able to adapt the following formulas to meet your needs.

To get the number of occurrences of the word "Low" in column A:

=COUNTIF(A:A, "=Low")

To get the number of "Mediums" from 3 occurrences of "Low" in column A, round down the above number divided by 3:

=FLOOR(COUNTIF(A:A, "=Low")/3,1)

To get the remaining "Lows" after groupings of 3 into "Mediums", use MOD:

=MOD(COUNTIF(A:A, "=Low"),3)

Putting this into a worksheet:

# Between two parts of the entry: quantum chemistry results
********
(1)
The following is a quantum chemistry calculation of 2 unconnected molecules or ions with the total composition H4O2, from the Open Molecules 2025 dataset.

Geometry (Å):
O1 -2.243 -0.215 -0.088
H1 -2.183 0.602 0.421
H2 -1.417 -0.689 0.152
O2 1.989 -0.275 0.041
H3 2.654 0.317 -0.296
H4 1.200 0.260 -0.230

Properties
E_HOMO: -0.43148 Eh
LUMO: 0.55 eV
Energy relative to the best compared isomer or geometry (same formula, charge and spin): 6.3 kcal per mole
Gap between HOMO and LUMO: 12.293 eV
Structure (SMILES): O.O
Energy: -4159.668 eV
Multiplicity: 1

In the natural (NBO) picture, each atom carries the following charge in e: -0.9342, 0.4660, 0.4685, -0.9251, 0.4647, 0.4602

---

(2)
The following is a quantum chemistry calculation of a molecular structure, C11H17AuCl2Ho, from the Open Molecules 2025 dataset.

Geometry (Å):
Ho1 -3.142 2.795 1.485
Cl1 -3.434 0.731 0.300
C1 -3.386 4.894 0.492
C2 -2.998 2.845 3.816
H1 -3.303 5.784 1.147
H2 -2.574 4.928 -0.250
H3 -4.353 4.931 -0.029
H4 -2.929 3.836 4.309
H5 -2.072 2.287 4.028
H6 -3.851 2.297 4.240
Au1 0.094 0.420 -0.387
C3 -1.095 0.954 -2.039
C4 1.923 1.040 0.049
H7 -1.156 2.043 -1.921
H8 -0.496 0.654 -2.908
H9 -2.075 0.479 -1.991
H10 2.593 0.618 0.809
H11 2.363 1.620 -0.784
Cl2 -0.417 -4.158 -1.254
C5 1.169 -3.739 -0.811
C6 2.015 -4.714 -0.309
C7 3.339 -4.377 0.055
C8 3.772 -3.052 -0.092
C9 2.927 -2.076 -0.615
C10 1.619 -2.400 -1.056
C11 0.760 -1.401 -1.665
H12 1.639 -5.740 -0.227
H13 3.991 -5.155 0.441
H14 4.802 -2.783 0.206
H15 3.211 -1.014 -0.676
H16 1.284 -0.776 -2.386
H17 -0.220 -1.769 -1.978

Properties
E_HOMO (alpha / beta): -0.09274 / -0.11111 Eh
LUMO (alpha / beta): 1.87 / 1.76 eV
Energy relative to the best compared isomer or geometry (same formula, charge and spin): 29.1 kcal per mole
Gap between HOMO and LUMO (alpha / beta): 4.397 / 4.786 eV
Total charge: -1
Energy: -66212.669 eV
<S²>: 12.035
Multiplicity: 7

Results of the natural (NBO) charge analysis, in e, for atoms 1 through 8: 2.0586, -0.6489, -1.3917, -1.3890, 0.2196, 0.2225, 0.2150, 0.2196

---

(3)
The following is a quantum chemistry calculation of 2 unconnected molecules or ions with the total composition C2H9N3O, from the Open Molecules 2025 dataset.

Geometry (Å):
N1 -1.203 -0.421 2.395
C1 -0.395 -0.475 1.178
N2 -0.859 -1.364 0.098
H1 -1.484 -1.372 2.660
H2 -2.072 0.106 2.270
H3 0.553 -0.913 1.495
H4 -0.132 0.530 0.849
H5 -1.537 -0.873 -0.500
H6 -1.397 -2.118 0.540
C2 1.251 1.734 -1.568
N3 1.706 0.574 -2.136
O1 0.419 2.421 -2.103
H7 1.717 1.922 -0.589
H8 1.883 -0.165 -1.477
H9 1.548 0.414 -3.112

Properties
E_HOMO (alpha / beta): -0.48445 / -0.48379 Eh
LUMO (alpha / beta): -3.87 / -9.68 eV
Energy relative to the best compared isomer or geometry (same formula, charge and spin): 41.9 kcal per mole
Gap between HOMO and LUMO (alpha / beta): 9.308 / 3.483 eV
Total charge: +1
Energy: -8728.032 eV
<S²>: 0.761
Multiplicity: 2
********
# So much for the quantum chemistry results



Formulas Formulas

Finally, if you wanted one "Mediums" count, i.e. adding the remaining "Mediums" which aren't grouped into "Highs", you would use a combination of the above formulas for what is left after grouping to "Highs" with what is gained from grouping of "Lows".


Now you've included an image, I can show how these formulas are directly applicable...




enter image description here


Sounds like you were already nearly there with using =MOD() just needed a little tweak:

For the high column:


For the medium column:


For the low column:


It's exactly like a long addition that you do at school where each column carries over to the one to the left of it (except base 3 instead of base 10). I'm not clear that existing answers cover the case where there is a carry from one column and that causes a further carry from the next column so here is another answer

In the totals row (e.g. for the medium column) in (say) C12


Then use mod as before


except that in the high column you don't want to use MOD so it's just


enter image description here